Setup and Operation Manual
Activating the Display
Subsequently, if no button press or operation occurs in 30 seconds, the display will go blank and wait for a
button to be pressed to reactivate. Initially, when reactivated, the Display Head enters the Volume mode.
Once the unit has been setup, the default reactivation mode will be the Pre-Dispense mode you choose in
setup. Also, if you enable the OEM message in setup, it will scroll across the Descriptor field until the 30
**Misplaced records of molecules:**
(1)
Molecular formula: C4H13N2O
Method: DFT, ωB97M-V/def2-TZVPD

Each atom is followed by the atoms it is bonded to, with distances in Å.
CARTESIAN COORDINATES (ANGSTROEM)
1 C 0.606 -1.230 1.692  C3 1.524, H8 1.133, H9 1.138, H10 1.018
2 C -0.853 -0.428 -1.738  C4 1.548, H11 1.101, H12 1.173, H13 1.030
3 C -0.548 -0.333 1.257  C1 1.524, O7 1.348, H14 1.153
4 C 0.105 0.271 -0.743  C2 1.548, N5 1.411, N6 1.470
5 N 1.410 -0.165 -1.058  C4 1.411, H15 0.989, H16 0.995
6 N -0.317 1.674 -0.623  C4 1.470, H17 1.055, H18 1.097, H19 1.047
7 O -0.793 0.921 1.687  C3 1.348, H20 0.956
8 H 1.041 -1.921 0.908  C1 1.133
9 H 0.320 -1.851 2.603  C1 1.138
10 H 1.255 -0.613 2.177  C1 1.018
11 H -1.730 0.237 -1.714  C2 1.101
12 H -1.108 -1.549 -1.499  C2 1.173
13 H -0.360 -0.300 -2.633  C2 1.030
14 H -1.582 -0.833 1.150  C3 1.153
15 H 1.579 -0.974 -1.601  N5 0.989
16 H 1.978 -0.084 -0.246  N5 0.995
17 H 0.485 2.345 -0.479  N6 1.055
18 H -0.894 1.685 0.309  N6 1.097
19 H -0.647 2.045 -1.546  N6 1.047
20 H 0.053 1.100 2.095  O7 0.956

The value obtained for the LUMO energy is -3.36 eV. The net charge is +1. For the HOMO energy, the calculation gives -12.36 eV. The value obtained for the gap between HOMO and LUMO is 9.0096 eV. The value obtained for the calculated total energy is -9376.8442 eV. As for the energy relative to the best compared isomer or geometry (same formula, charge and spin): 457.3 kJ/mol.

(2)
Molecular formula: C4H13N2O
Method: DFT, ωB97M-V/def2-TZVPD

Each atom is followed by the atoms it is bonded to, with distances in Å.
CARTESIAN COORDINATES (ANGSTROEM)
1 C -2.083 -0.670 -1.335  C2 1.523, H7 1.094, H8 1.089, H9 1.086
2 C -0.605 -0.304 -1.364  C1 1.523, C3 1.504, H10 1.099, H11 1.085
3 C -0.147 0.385 -0.108  C2 1.504, C4 1.331, N6 1.483
4 C 0.107 1.685 0.032  C3 1.331, N5 1.360, H12 1.079
5 N 0.453 2.389 1.142  C4 1.360, H13 1.006, H14 1.003
6 N -0.041 -0.544 1.044  C3 1.483, H15 1.023, H16 1.034, H17 1.019
7 H -2.664 0.254 -1.408  C1 1.094
8 H -2.407 -1.125 -0.400  C1 1.089
9 H -2.427 -1.298 -2.152  C1 1.086
10 H 0.015 -1.202 -1.494  C2 1.099
11 H -0.354 0.360 -2.184  C2 1.085
12 H 0.079 2.289 -0.862  C4 1.079
13 H 0.363 2.008 2.069  N5 1.006
14 H 0.666 3.368 1.090  N5 1.003
15 H -0.900 -1.086 1.169  N6 1.023
16 H 0.703 -1.225 0.817  N6 1.034
17 H 0.240 -0.103 1.918  N6 1.019
18 H 3.251 -1.014 0.912  O20 0.968
19 H 3.045 -2.355 0.195  O20 0.964
20 O 2.708 -1.815 0.920  H18 0.968, H19 0.964

The value obtained for the LUMO energy is -3.27 eV. The net charge is +1. For the HOMO energy, the calculation gives -12.62 eV. The value obtained for the gap between HOMO and LUMO is 9.3471 eV. The value obtained for the calculated total energy is -9380.0567 eV. As for the energy relative to the best compared isomer or geometry (same formula, charge and spin): 147.3 kJ/mol.

(3)
Molecular formula: C4H13N2O
Method: DFT, ωB97M-V/def2-TZVPD

Each atom is followed by the atoms it is bonded to, with distances in Å.
CARTESIAN COORDINATES (ANGSTROEM)
second timeout.
Activating the Display
Display is blank after the 30 second timeout. Press a button on the display, if the timeout follows setup, the pre-
dispense default mode is displayed. Otherwise the display on the screen prior to the timeout will display.
Display is blank after 30 second timeout. Press a button on the display, the OEM message scrolls in the
Descriptor field. Press a button on the display, if the timeout follows setup, the pre-dispense default mode is
displayed. Otherwise the display on the screen prior to the timeout will display.
Display Value Fields
Six digits display the current volume, currency value, final price, or rate of fuel dispensed. The area is used to
display different selections. Values may display in various resolutions by selecting options in the C&C Mode.
Decimal and comma selection is available in this mode for 5 of the 6 digits.
Six digits display the volume preset, volume preset count down, price, currency preset values, or currency preset
count down. The area is used to enter different selections of price, volume preset, or currency preset. Values may
display in various resolutions by selecting options in the C&C Mode. Decimal and comma selection is available in
this mode for 5 of the 6 digits.
Eight digits display the grand totalizer volume dispensed for the life of the product. Decimal selection is available in
this mode for 2 of the 8 digits.
Fourteen Characters at one time, with a rolling text capability for extended messages (up to 24 characters total),
displays description of values, labels, time/date, and instructional messages. labels, descriptions, and messages
are changeable in C&C Mode. Error codes will appear also in this field.
Display icons and indicators
Emergency Stop
- Octagon icon displayed when optional emergency stop switch contacts are closed. This
remote switch will be mounted near the Display Head and is pushed to stop flow and pulled to resume flow.
- Fuel nozzle icon displayed constantly when system is ready to dispense. The Icon will flash when
approaching the time-out in delivery mode (30 seconds). See single delivery mode for further explanation.
- The thermometer icon will display only when a temperature compensated product is selected.